Brief:
It remains to echo everything below word for word.

Listing:
/*
This entry pairs a crystal structure of AgSbTe2 with its theoretical powder diffractogram. Radiation: Cu Kα (weighted mean of Kα1 and Kα2). Structure: a DFT-relaxed cell (GGA-PBE, the Materials Project).

Atomic structure:
a b c (Å): 5.790 3.116 8.168
angles (deg): 90.00 107.39 90.00
Positions (direct):
1 Ag 0.000 0.000 0.000
2 Sb 0.000 0.000 0.500
3 Te 0.500 0.000 0.000
4 Te 0.500 0.000 0.500

Peak list (10 most intense, 2θ from 10° to 90°, low angle first)
2θ 22.8, I = 100, (0 0 2); 2θ 28.7, I = 56, (0 1 0); 2θ 32.4, I = 41, (2 0 0); 2θ 33.7, I = 37, (2 0 -2); 2θ 36.9, I = 57, (0 1 2); 2θ 43.8, I = 35, (2 1 0); 2θ 44.8, I = 33, (2 1 -2); 2θ 54.7, I = 18, (2 1 2); 2θ 55.6, I = 17, (0 1 4); 2θ 64.4, I = 16, (0 2 2)

----------

Calculated PXRD pattern of ZrMnH10O5F6 for Cu Kα, 1.54184 Å, from a cell relaxed with GGA+U.

Structural model:
a b c (Å): 15.794 7.629 8.805
angles (deg): 90.00 122.06 90.00
Space group C2 (No. 5)
Inequivalent atoms, fractional coordinates:
Zr: 0.000 0.000 0.000 [2 per cell]
Zr: 0.000 0.500 0.000 [2 per cell]
Mn: 0.230 0.251 0.775 [4 per cell]
H: 0.072 0.467 0.725 [4 per cell]
H: 0.073 0.031 0.723 [4 per cell]
H: 0.079 0.761 0.370 [4 per cell]
H: 0.119 0.652 0.549 [4 per cell]
H: 0.121 0.938 0.617 [4 per cell]
H: 0.141 0.290 0.403 [4 per cell]
H: 0.174 0.576 0.814 [4 per cell]
H: 0.192 0.249 0.059 [4 per cell]
H: 0.209 0.856 0.877 [4 per cell]
H: 0.240 0.764 0.511 [4 per cell]
O: 0.127 0.764 0.502 [4 per cell]
O: 0.133 0.487 0.720 [4 per cell]
O: 0.135 0.018 0.718 [4 per cell]
O: 0.204 0.257 0.512 [4 per cell]
O: 0.247 0.751 0.948 [4 per cell]
F: 0.010 0.749 0.144 [4 per cell]
F: 0.012 0.064 0.237 [4 per cell]
F: 0.020 0.433 0.245 [4 per cell]
F: 0.089 0.251 0.070 [4 per cell]
F: 0.149 0.566 0.116 [4 per cell]
F: 0.149 0.934 0.117 [4 per cell]

Principal peaks in the range 15° ≤ 2θ ≤ 90°, by angle:
| hkl | d_spacing | 2theta | intensity |
| --- | --- | --- | --- |
| 1 1 -1 | 5.764 | 15.37 | 30 |
| 2 0 -2 | 4.404 | 20.16 | 97 |
| 2 0 1 | 4.031 | 22.05 | 32 |
| 4 0 -1 | 3.930 | 22.63 | 71 |
| 0 2 1 | 3.396 | 26.24 | 29 |
| 2 2 0 | 3.314 | 26.90 | 100 |
| 2 0 -3 | 2.884 | 31.01 | 57 |
| 6 2 -1 | 2.113 | 42.79 | 42 |
| 6 2 0 | 1.926 | 47.20 | 27 |
| 0 4 0 | 1.907 | 47.69 | 29 |

----------

Simulated X-ray diffraction stick pattern
Compound: Ac3Zn2InPd6
Radiation: Cu Ka
Structure: a GGA-PBE-relaxed structure
Lines closer than 0.1° are merged.

Principal peaks in the range 10 to 90 degrees two-theta, by angle:
2theta	I_rel	index
26.20	64	0 1 2
30.09	59	1 1 0
36.16	56	1 1 2
36.31	100	0 2 1
40.32	77	2 0 2
62.56	35	2 2 0

Cell lengths 5.9394, 5.9394, 9.0696 Å; angles 90.00, 90.00, 120.00 degrees
Space group P-3m1 (No. 164)
Unique sites:
Ac 0.0000 0.0000 0.0000 (multiplicity 1)
Ac 0.3333 0.6667 0.6335 (multiplicity 2)
Zn 0.3333 0.6667 0.0367 (multiplicity 2)
In 0.0000 0.0000 0.5000 (multiplicity 1)
Pd 0.1757 0.3515 0.2727 (multiplicity 6)

***

Simulated X-ray diffraction stick pattern
Compound: AcZnInPd2
Radiation: Cu Ka
Structure: a GGA-PBE-relaxed structure
Lines closer than 0.1° are merged.

Principal peaks in the range 10 to 90 degrees two-theta, by angle:
2theta	I_rel	index
30.41	73	1 0 3
32.89	100	1 1 2
41.84	52	2 0 0
43.01	44	1 0 5
52.60	32	2 1 3
61.57	38	0 0 8

Cell lengths 4.318, 4.318, 12.040 Å; angles 90.00, 90.00, 90.00 degrees
Space group I-4m2 (No. 119)
Unique sites:
Ac 0.000 0.000 0.000 (multiplicity 2)
Zn 0.000 0.500 0.250 (multiplicity 2)
In 0.000 0.500 0.750 (multiplicity 2)
Pd 0.000 0.000 0.386 (multiplicity 4)

----------

Theoretical powder diffraction line list
Compound: Sm2MnCoO6
*/

Worked solution:
This entry pairs a crystal structure of AgSbTe2 with its theoretical powder diffractogram. Radiation: Cu Kα (weighted mean of Kα1 and Kα2). Structure: a DFT-relaxed cell (GGA-PBE, the Materials Project).

Atomic structure:
a b c (Å): 5.790 3.116 8.168
angles (deg): 90.00 107.39 90.00
Positions (direct):
1 Ag 0.000 0.000 0.000
2 Sb 0.000 0.000 0.500
3 Te 0.500 0.000 0.000
4 Te 0.500 0.000 0.500

Peak list (10 most intense, 2θ from 10° to 90°, low angle first)
2θ 22.8, I = 100, (0 0 2); 2θ 28.7, I = 56, (0 1 0); 2θ 32.4, I = 41, (2 0 0); 2θ 33.7, I = 37, (2 0 -2); 2θ 36.9, I = 57, (0 1 2); 2θ 43.8, I = 35, (2 1 0); 2θ 44.8, I = 33, (2 1 -2); 2θ 54.7, I = 18, (2 1 2); 2θ 55.6, I = 17, (0 1 4); 2θ 64.4, I = 16, (0 2 2)

----------

Calculated PXRD pattern of ZrMnH10O5F6 for Cu Kα, 1.54184 Å, from a cell relaxed with GGA+U.

Structural model:
a b c (Å): 15.794 7.629 8.805
angles (deg): 90.00 122.06 90.00
Space group C2 (No. 5)
Inequivalent atoms, fractional coordinates:
Zr: 0.000 0.000 0.000 [2 per cell]
Zr: 0.000 0.500 0.000 [2 per cell]
Mn: 0.230 0.251 0.775 [4 per cell]
H: 0.072 0.467 0.725 [4 per cell]
H: 0.073 0.031 0.723 [4 per cell]
H: 0.079 0.761 0.370 [4 per cell]
H: 0.119 0.652 0.549 [4 per cell]
H: 0.121 0.938 0.617 [4 per cell]
H: 0.141 0.290 0.403 [4 per cell]
H: 0.174 0.576 0.814 [4 per cell]
H: 0.192 0.249 0.059 [4 per cell]
H: 0.209 0.856 0.877 [4 per cell]
H: 0.240 0.764 0.511 [4 per cell]
O: 0.127 0.764 0.502 [4 per cell]
O: 0.133 0.487 0.720 [4 per cell]
O: 0.135 0.018 0.718 [4 per cell]
O: 0.204 0.257 0.512 [4 per cell]
O: 0.247 0.751 0.948 [4 per cell]
F: 0.010 0.749 0.144 [4 per cell]
F: 0.012 0.064 0.237 [4 per cell]
F: 0.020 0.433 0.245 [4 per cell]
F: 0.089 0.251 0.070 [4 per cell]
F: 0.149 0.566 0.116 [4 per cell]
F: 0.149 0.934 0.117 [4 per cell]

Principal peaks in the range 15° ≤ 2θ ≤ 90°, by angle:
| hkl | d_spacing | 2theta | intensity |
| --- | --- | --- | --- |
| 1 1 -1 | 5.764 | 15.37 | 30 |
| 2 0 -2 | 4.404 | 20.16 | 97 |
| 2 0 1 | 4.031 | 22.05 | 32 |
| 4 0 -1 | 3.930 | 22.63 | 71 |
| 0 2 1 | 3.396 | 26.24 | 29 |
| 2 2 0 | 3.314 | 26.90 | 100 |
| 2 0 -3 | 2.884 | 31.01 | 57 |
| 6 2 -1 | 2.113 | 42.79 | 42 |
| 6 2 0 | 1.926 | 47.20 | 27 |
| 0 4 0 | 1.907 | 47.69 | 29 |

----------

Simulated X-ray diffraction stick pattern
Compound: Ac3Zn2InPd6
Radiation: Cu Ka
Structure: a GGA-PBE-relaxed structure
Lines closer than 0.1° are merged.

Principal peaks in the range 10 to 90 degrees two-theta, by angle:
2theta	I_rel	index
26.20	64	0 1 2
30.09	59	1 1 0
36.16	56	1 1 2
36.31	100	0 2 1
40.32	77	2 0 2
62.56	35	2 2 0

Cell lengths 5.9394, 5.9394, 9.0696 Å; angles 90.00, 90.00, 120.00 degrees
Space group P-3m1 (No. 164)
Unique sites:
Ac 0.0000 0.0000 0.0000 (multiplicity 1)
Ac 0.3333 0.6667 0.6335 (multiplicity 2)
Zn 0.3333 0.6667 0.0367 (multiplicity 2)
In 0.0000 0.0000 0.5000 (multiplicity 1)
Pd 0.1757 0.3515 0.2727 (multiplicity 6)

***

Simulated X-ray diffraction stick pattern
Compound: AcZnInPd2
Radiation: Cu Ka
Structure: a GGA-PBE-relaxed structure
Lines closer than 0.1° are merged.

Principal peaks in the range 10 to 90 degrees two-theta, by angle:
2theta	I_rel	index
30.41	73	1 0 3
32.89	100	1 1 2
41.84	52	2 0 0
43.01	44	1 0 5
52.60	32	2 1 3
61.57	38	0 0 8

Cell lengths 4.318, 4.318, 12.040 Å; angles 90.00, 90.00, 90.00 degrees
Space group I-4m2 (No. 119)
Unique sites:
Ac 0.000 0.000 0.000 (multiplicity 2)
Zn 0.000 0.500 0.250 (multiplicity 2)
In 0.000 0.500 0.750 (multiplicity 2)
Pd 0.000 0.000 0.386 (multiplicity 4)

----------

Theoretical powder diffraction line list
Compound: Sm2MnCoO6